Source:
........
# 1
VASP calculation (GGA-PBE) on KGdNb6Cl18 after structural relaxation.

The structure in extended XYZ format:
```
26
Lattice="4.7212 2.7258 8.6304 -4.7212 2.7258 8.6304 0.0000 -5.4516 8.6304" Properties=species:S:1:pos:R:3 pbc="T T T"
K 0.0000 0.0000 0.0000
Gd 0.0000 0.0000 7.1575
Nb -1.6605 0.3243 18.9493
Nb -1.1044 -1.2856 21.3373
Nb 0.5494 -1.6002 18.9493
Nb -0.5611 1.5992 21.3373
Nb 1.1111 1.2759 18.9493
Nb 1.6655 -0.3137 21.3373
Cl -4.0950 0.6757 11.4921
Cl -3.4197 -1.2150 14.3371
Cl -2.2143 0.2735 8.7477
Cl -1.4704 -1.5678 11.5269
Cl -0.8887 -3.4231 14.2755
Cl 0.8703 -2.0544 8.7477
Cl 1.4623 -3.8842 11.4921
Cl -2.5201 2.4811 14.2755
Cl -1.3028 -1.5024 17.3174
Cl -0.6226 2.0573 11.5269
Cl 1.3440 1.7809 8.7477
Cl 2.0929 -0.4895 11.5269
Cl 2.7621 -2.3541 14.3371
Cl -0.6497 1.8795 17.3173
Cl 0.6577 3.5691 14.3371
Cl 1.9526 -0.3771 17.3173
Cl 2.6326 3.2085 11.4921
Cl 3.4088 0.9419 14.2755
```

total magnetization = 7.00 μB per cell
space-group type = No. 146
energy with MP2020 corrections = -6.10 eV per atom

---

# 2
VASP calculation (GGA-PBE) on MgVFeS4 after structural relaxation.

The structure in extended XYZ format:
```
14
Lattice="-3.4873 3.5786 5.0474 3.4873 -3.5786 5.0474 3.4873 3.5786 -5.0474" Properties=species:S:1:pos:R:3 pbc="T T T"
Mg 0.0000 1.7893 1.2569
Mg 3.4873 1.7893 3.7906
V 1.7437 1.7893 -2.5237
V 1.7437 -1.7893 2.5237
Fe 3.4873 0.0000 0.0000
Fe 0.0000 0.0000 5.0474
S 3.4873 -0.1260 2.3218
S 2.0184 1.7893 -0.0960
S 4.9563 1.7893 -0.0960
S 3.4873 3.4526 -2.3218
S 0.0000 0.1260 7.3692
S -1.4690 1.7893 5.1434
S 1.4690 1.7893 5.1434
S 0.0000 3.7046 2.7256
```

total magnetization = 5.91 μB per cell
space-group type = No. 74
energy with MP2020 corrections = -6.14 eV per atom

---

# 3
VASP calculation (GGA-PBE) on Na2O after structural relaxation.

The structure in extended XYZ format:
```
9
Lattice="6.1899 0.0000 0.0000 -3.0949 5.3606 0.0000 0.0000 0.0000 3.6533" Properties=species:S:1:pos:R:3 pbc="T T T"
Na 4.9137 2.2093 0.0000
Na -2.2857 3.9600 1.8259
Na 0.8083 1.4011 1.8259
Na 2.5514 0.0006 0.0000
Na 1.8197 3.1507 0.0000
Na 1.4774 5.3600 1.8259
O 0.0000 0.0000 3.6521
O 0.0000 3.5737 1.7907
O 3.0949 1.7869 1.8514
```

space-group type = No. 143
energy with MP2020 corrections = -3.89 eV per atom

---

# 4
VASP calculation (GGA-PBE) on LiHo2CuSi4O12 after structural relaxation.

The structure in extended XYZ format:
```
20
Lattice="5.0225 0.0000 0.0000 1.5744 6.9476 0.0000 0.6109 3.2199 7.0571" Properties=species:S:1:pos:R:3 pbc="T T T"
Li 0.0000 0.0000 0.0000
Ho 2.1770 8.0351 3.9979
Ho 1.5819 4.5562 3.0040
Cu 2.1820 7.5474 7.0524
Si 3.2277 3.1213 5.4742
Si 4.1928 6.6258 1.4856
Si 4.5504 5.9412 5.4680
Si 3.9838 2.5317 1.4743
O 2.0564 2.7938 4.4106
O 2.9331 6.4351 2.4955
O 2.5811 3.2478 7.0220
O 3.5119 7.1765 5.5548
O 2.8490 3.6645 1.4834
O 3.6910 4.6245 4.9199
O 3.4191 1.0514 1.9851
O 5.1296 5.4532 6.9697
O 5.3570 5.4993 1.3536
O 6.1189 9.1477 5.5893
O 5.8114 6.1733 4.4600
O 5.2097 2.7901 2.5065
```

offset from the most stable computed form = 0.000 eV/atom
total magnetization = 0.00 μB per cell
space-group type = No. 1
energy with MP2020 corrections = -7.98 eV per atom

---

# 5
VASP calculation (GGA-PBE) on LuNb6Cl13O3 after structural relaxation.

The structure in extended XYZ format:
```
92
Lattice="-4.6737 4.6737 26.9701 4.6737 -4.6737 26.9701 4.6737 4.6737 -26.9701" Properties=species:S:1:pos:R:3 pbc="T T T"
Lu 0.0000 0.0000 5.0871
Lu 0.0000 4.6737 8.3980
Lu 0.0000 4.6737 18.5722
Lu 0.0000 0.0000 48.8531
Nb 3.8303 1.1724 -4.8594
Nb 6.4471 1.0793 -3.4086
Nb 3.5013 3.8303 -18.3444
Nb 3.9178 1.3180 -1.8417
Nb 3.3557 3.9178 -15.3267
Nb 1.1724 0.8434 8.6257
Nb 1.3180 0.7559 11.6434
Nb 3.5945 -1.7734 30.3787
Nb -1.0793 1.7734 10.0765
Nb 1.3180 3.9178 1.8417
Nb 1.1724 3.8303 4.8594
Nb 3.3557 0.7559 28.8118
Nb 3.9178 3.3557 15.3267
Nb 3.5013 0.8434 31.8295
Nb -2.9003 3.5945 16.8937
Nb 3.8303 3.5013 18.3444
Nb 1.0793 6.4471 3.4086
Nb 0.8434 3.5013 22.1108
Nb -1.7734 3.5945 23.5615
Nb 0.7559 3.3557 25.1284
........

Activity:
Please print every line earlier on that contains the word "KGdNb6Cl18".

Result:
VASP calculation (GGA-PBE) on KGdNb6Cl18 after structural relaxation.